Filmmaker Anurag Kashyap, who has made hit films like ‘Gangs of Wasseypur’, is now awaiting the release of his next film ‘Almost Pyaar with DJ Mohabbat’. He gave an interview during the promotion of the same, in which he recalled his initial days in Mumbai. Also told about the struggle.
Film Director Anurag Kashyap : Because of this the first wife pushed Anurag out of the house, he was forced to sleep on the footpath by paying 6 rupees
+++
1.
{
  "formula": "C5H4O3",
  "method": "wB97M-V/def2-TZVPD",
  "e_above_lowest_kj_mol": 487.5,
  "e_lumo_ev": 0.536,
  "homo_energy_ev": -9.5976,
  "smiles": "C#COC(=O)C(=C)O",
  "species": ["C", "C", "C", "O", "O", "C", "C", "O", "H", "H", "H", "H"],
  "xyz": [[0.396, -0.346, -0.312], [-1.282, -0.187, -0.083], [-1.981, -1.316, -0.024], [0.781, 0.680, 0.390], [-1.803, 1.060, -0.197], [2.262, 1.012, 0.166], [3.421, 1.250, 0.407], [0.909, -1.214, -0.959], [-2.583, 1.173, 0.371], [-3.066, -1.312, -0.039], [-1.514, -2.279, -0.205], [4.458, 1.479, 0.485]],
  "lowdin_charge": [-0.45, -0.28, 0.06, 0.07, 0.04, -0.02, 0.13, 0.15, 0.12, 0.07, 0.07, 0.04]
}

---

2.
{
  "formula": "C25H33O2PmTe",
  "method": "wB97M-V/def2-TZVPD",
  "e_above_lowest_kj_mol": 10.1,
  "e_lumo_ev": [0.020, 0.017],
  "multiplicity": 5,
  "homo_energy_ev": [-6.8598, -6.9162],
  "species": ["O", "C", "C", "H", "H", "C", "H", "H", "C", "H", "H", "H", "C", "H", "H", "H", "Pm", "C", "C", "C", "H", "C", "C", "H", "H", "H", "H", "C", "C", "C", "H", "C", "C", "H", "H", "H", "H", "O", "C", "C", "H", "H", "C", "H", "H", "C", "H", "H", "H", "H", "Te", "C", "C", "C", "C", "C", "C", "H", "H", "H", "H", "H"],
  "xyz": [[-0.300, 2.092, -1.763], [0.719, 2.789, -2.536], [-0.188, 4.024, -2.672], [0.927, 2.219, -3.453], [1.629, 2.980, -1.959], [-1.295, 3.095, -2.084], [-0.350, 4.412, -3.690], [0.082, 4.807, -1.961], [-2.301, 2.631, -3.113], [-1.869, 2.510, -4.111], [-3.057, 3.401, -3.171], [-2.785, 1.701, -2.798], [-2.027, 3.547, -0.836], [-1.375, 4.163, -0.192], [-2.406, 2.682, -0.273], [-2.902, 4.147, -1.122], [0.259, -0.964, 0.250], [0.976, 1.215, 2.180], [2.003, 0.265, 1.920], [2.742, 0.680, 0.761], [2.189, -0.633, 2.511], [2.091, 1.818, 0.237], [1.003, 2.170, 1.113], [0.387, 3.076, 1.070], [0.353, 1.255, 3.068], [3.711, 0.270, 0.441], [2.429, 2.377, -0.618], [-1.629, -0.844, 2.047], [-1.980, 0.348, 1.367], [-2.489, -0.005, 0.086], [-1.937, 1.349, 1.776], [-2.432, -1.427, -0.030], [-1.901, -1.949, 1.180], [-1.641, -2.989, 1.387], [-1.212, -0.906, 3.052], [-2.949, 0.690, -0.612], [-2.847, -2.005, -0.860], [0.094, -1.210, -1.946], [-0.418, -1.084, -3.375], [0.410, -2.016, -4.245], [-0.324, -0.030, -3.666], [-1.487, -1.336, -3.383], [1.076, -2.996, -3.285], [1.192, -1.451, -4.761], [-0.208, -2.518, -5.006], [1.037, -2.356, -1.876], [2.107, -3.265, -3.554], [0.498, -3.930, -3.272], [2.027, -2.025, -1.511], [0.602, -3.056, -1.148], [1.585, -3.549, 1.433], [1.347, -2.953, 3.418], [0.083, -3.019, 4.024], [-0.128, -2.310, 5.212], [0.908, -1.551, 5.774], [2.204, -1.630, 5.247], [2.439, -2.367, 4.084], [-0.718, -3.555, 3.540], [-1.097, -2.351, 5.702], [0.700, -0.901, 6.616], [3.022, -1.120, 5.746], [3.420, -2.409, 3.639]],
+++
Filmmaker Anurag Kashyap, who has made hit films like ‘Gangs of Wasseypur’, is now awaiting the release of his next film ‘Almost Pyaar with DJ Mohabbat’. He gave an interview during the promotion of the same, in which he recalled his initial days in Mumbai. Also told about the struggle.
Filmmaker Anurag Kashya, who became the talk of the town for his upcoming film ‘Almost Pyaar with DJ Mohabbat’, needs no introduction. Everyone is aware of him. He has given many hits and now he is expecting the same from this movie. Now during the promotion of this, the director gave an interview, in which he has opened all the layers of his struggling life. He has told how in the initial days in Mumbai he had to sleep on the footpath and had to pay for that too.
In the year 1993, Anurag Kashyap had stepped into Mumbai. In Mashable India’s YouTube series ‘The Bombay Journey’, the director talks about the city of Mumbai and laments how much it has changed in the 30 years since he has lived here. He had a story for every street corner. The filmmaker also pointed to the footpath on which he used to sleep at nights as he had no place to stay.
**These records of molecules were left in the text by mistake:**
'''
The following is a DFT calculation (ωB97M-V/def2-TZVPD) of 2 unconnected molecules or ions with the total composition C4H10O in a non-equilibrium geometry.

Element x y z (Å)
C (1.306, 0.405, 1.639)
C (1.170, 0.081, 0.169)
C (-0.273, 0.132, -0.133)
O (-0.583, 0.018, -1.480)
C (-1.884, -0.470, -1.789)
H (0.624, -0.093, 2.330)
H (2.261, -0.357, 1.743)
H (1.703, 1.368, 1.955)
H (1.692, -0.881, 0.054)
H (1.715, 0.823, -0.425)
H (-0.107, 1.211, 1.113)
H (-0.955, -0.451, 0.478)
H (-1.999, -0.454, -2.878)
H (-2.024, -1.504, -1.438)
H (-2.646, 0.173, -1.337)

Molecular weight (g/mol): 74.1
Kohn-Sham gap (hartree): 0.341
Relative energy (zero: lowest compared OMol25 entry of this formula, charge and spin) (eV): 4.780
Lowest unoccupied orbital energy (eV): 1.05
E_tot (eV): -6353.0232
2S+1: 1
Total charge: 0

Atom charges from the Mulliken analysis, given in e for atoms 1 to 2: -1.305 -0.080

The following is a DFT calculation (ωB97M-V/def2-TZVPD) of C3H3NO2 in the gas phase in a non-equilibrium geometry.

Element x y z (Å)
C (0.242, 0.789, 0.111)
C (-2.203, -0.408, 0.040)
C (1.393, -0.084, -0.112)
N (-1.018, -0.260, 0.006)
O (-3.281, -0.824, -0.083)
O (0.090, 1.900, 0.418)
H (1.047, -0.970, -0.715)
H (1.581, -0.541, 0.861)
H (2.150, 0.398, -0.527)

Molecular weight (g/mol): 85.1
Kohn-Sham gap (hartree): 0.409
SMILES string: CC(=O)N=C=O
Relative energy (zero: lowest compared OMol25 entry of this formula, charge and spin) (eV): 1.304
Lowest unoccupied orbital energy (eV): 0.55
E_tot (eV): -8743.8272
2S+1: 1
Total charge: 0

Atom charges from the Mulliken analysis, given in e for atoms 1 to 2: 0.591 0.509

The following is a DFT calculation (ωB97M-V/def2-TZVPD) of 3 unconnected molecules or ions with the total composition C29H61Cl2FIN7O5P3 in a non-equilibrium geometry.

Element x y z (Å)
C (3.671, -2.510, -2.589)
C (2.247, -3.361, -2.376)
C (1.169, -2.715, -3.409)
P (-0.658, -3.298, -3.335)
C (-1.025, -1.770, -4.482)
C (-0.078, -1.403, -5.713)
C (0.725, 0.052, -5.482)
I (2.528, 0.102, -6.735)
C (-0.303, -4.775, -2.212)
O (0.383, -5.945, -2.738)
O (0.979, -6.598, -1.775)
C (-0.805, -2.233, -1.724)
C (-1.538, -2.843, -0.424)
O (-1.041, -2.441, 0.788)
F (-2.708, -3.714, -0.240)
C (-2.569, -3.489, -3.251)
Cl (-3.795, -2.097, -2.816)
C (-3.356, -4.757, -3.454)
C (-5.025, -4.832, -3.307)
Cl (-2.625, -6.406, -3.844)
C (-0.508, -4.258, -5.013)
C (0.829, -5.108, -5.548)
C (0.754, -5.789, -7.010)
C (-0.516, -5.658, -8.005)
N (-1.694, -4.892, -7.549)
C (-1.662, -4.264, -6.222)
H (4.062, -2.818, -3.656)
H (3.502, -1.352, -2.527)
H (4.411, -2.897, -1.739)
H (2.535, -4.483, -2.570)
H (1.975, -3.189, -1.227)
H (1.745, -2.878, -4.412)
H (1.210, -1.532, -3.244)
H (-1.067, -0.738, -3.881)
H (-2.123, -1.838, -4.954)
H (-0.755, -1.148, -6.669)
H (0.722, -2.122, -6.121)
H (0.891, 0.308, -4.355)
H (0.019, 0.916, -5.908)
H (-1.303, -5.233, -1.733)
H (0.293, -4.574, -1.194)
H (0.255, -7.077, -1.265)
H (0.259, -1.845, -1.335)
H (-1.369, -1.190, -1.868)
H (-5.295, -4.430, -2.216)
'''
Anurag Kashyap used to sleep on the footpath
Anurag Kashyap told that sometimes he used to get permission to stay in Imtiaz Ali’s college and to keep his belongings in Juhu’s Prithvi Theatre. He was also allowed to use the washroom there in the morning. But at night he had to fend for himself. He said, ‘At that time there was a garden in the middle of Juhu circle, which used to be roundabout without any signal. We used to sleep here, but sometimes they would drive us out of there. Then we went to Versova Link Road, where there was a wide footpath. People used to sleep there in line. But you had to pay 6 rupees to sleep there. Which I gave.
Anurag Kashyap started drinking alcohol day and night
Anurag Kashyap told that he was the co-writer of Ram Gopal Varma’s ‘Satya’. After this he made his directorial debut and made the film ‘Paanch’, which flopped. After this she released her second film ‘Black Friday’ and ran into trouble on the very first day itself. The director told, ‘I locked myself in a room and started drinking since then. it was all over. I drank heavily for a year and a half. Aarti (ex-wife) threw me out of the house. My daughter was then only four years old. Those times were very difficult. I was starting to feel sad. Five more Black Fridays had stalled. Allwyn Kalicharan also went into cold storage. Another film that no one knew about was also not made. I was thrown out of Tere Naam and Kaante… I was drinking and I was fighting all these battles, and I was thrown out of projects that I had written and been a part of. It was a very bad phase.
Anurag Kashyap made his name in the industry
After facing so much, Anurag Kashyap did not give up. He made a name for himself with both the parts of ‘Gangs of Wasseypur’ and showed how much guts he has. Along with this, many famous actors were also given a chance in that film, who have become very famous today. Anurag Kashyap co-directed India’s first Netflix series. Whose name was Sacred Games. That too was a big hit.